┌──
# 1
A geometry-optimized K2Nb2S5 structure. Source: OQMD via LeMat-Bulk, functional PBE.

Cell and atoms, written as POSCAR:
```
K2Nb2S5
1.0
5.088 -3.835 0.000
5.088 3.835 0.000
-3.544 0.000 11.406
K Nb S
4 4 10
Direct
0.046 0.372 0.312 K
0.372 0.046 0.812 K
0.628 0.954 0.188 K
0.954 0.628 0.688 K
0.211 0.574 0.046 Nb
0.426 0.789 0.454 Nb
0.574 0.211 0.546 Nb
0.789 0.426 0.954 Nb
0.152 0.218 0.034 S
0.211 0.789 0.250 S
0.218 0.152 0.534 S
0.361 0.574 0.883 S
0.426 0.639 0.617 S
0.574 0.361 0.383 S
0.639 0.426 0.117 S
0.782 0.848 0.466 S
0.789 0.211 0.750 S
0.848 0.782 0.966 S
```

Summary:
- Volume: 223 Å³/f.u.
- ρ: 3.2 g/cm³
- SG: C2/c, No. 15
- Uncorrected energy: -105.170 eV for the cell shown

=====

# 2
A geometry-optimized K4Nb2S11 structure. Source: OQMD via LeMat-Bulk, functional PBE.

Cell and atoms, written as POSCAR:
```
K4Nb2S11
1.0
13.314 0.000 0.000
0.000 7.520 0.000
0.000 0.000 18.083
K Nb S
16 8 44
Direct
0.042 0.209 0.000 K
0.088 0.181 0.702 K
0.218 0.804 0.852 K
0.228 0.656 0.104 K
0.272 0.656 0.604 K
0.282 0.804 0.352 K
0.412 0.181 0.202 K
0.458 0.209 0.500 K
0.542 0.791 0.000 K
0.588 0.819 0.702 K
0.718 0.196 0.852 K
0.728 0.344 0.104 K
0.772 0.344 0.604 K
0.782 0.196 0.352 K
0.912 0.819 0.202 K
0.958 0.791 0.500 K
0.059 0.261 0.258 Nb
0.118 0.206 0.446 Nb
0.382 0.206 0.946 Nb
0.441 0.261 0.758 Nb
0.559 0.739 0.258 Nb
0.618 0.794 0.446 Nb
0.882 0.794 0.946 Nb
0.941 0.739 0.758 Nb
0.016 0.470 0.360 S
0.019 0.027 0.353 S
0.050 0.756 0.999 S
0.057 0.405 0.550 S
0.087 0.748 0.695 S
0.096 0.581 0.273 S
0.160 0.017 0.205 S
0.179 0.258 0.151 S
0.185 0.978 0.510 S
0.240 0.235 0.341 S
0.240 0.414 0.928 S
0.260 0.235 0.841 S
0.260 0.414 0.428 S
0.315 0.978 0.010 S
0.321 0.258 0.651 S
0.340 0.017 0.705 S
0.404 0.581 0.773 S
0.413 0.748 0.195 S
0.443 0.405 0.050 S
0.450 0.756 0.499 S
0.481 0.027 0.853 S
0.484 0.470 0.860 S
0.516 0.530 0.360 S
0.519 0.973 0.353 S
0.550 0.244 0.999 S
0.557 0.595 0.550 S
0.587 0.252 0.695 S
0.596 0.419 0.273 S
0.660 0.983 0.205 S
0.679 0.742 0.151 S
0.685 0.022 0.510 S
0.740 0.586 0.928 S
0.740 0.765 0.341 S
0.760 0.586 0.428 S
0.760 0.765 0.841 S
0.815 0.022 0.010 S
0.821 0.742 0.651 S
0.840 0.983 0.705 S
0.904 0.419 0.773 S
0.913 0.252 0.195 S
0.943 0.595 0.050 S
0.950 0.244 0.499 S
0.981 0.973 0.853 S
0.984 0.530 0.860 S
```

Summary:
- Volume: 453 Å³/f.u.
- ρ: 2.5 g/cm³
- SG: Pca2_1, No. 29
- Uncorrected energy: -341.161 eV for the cell shown

=====

# 3
A geometry-optimized KNb3S5 structure. Source: OQMD via LeMat-Bulk, functional PBE.

Cell and atoms, written as POSCAR:
```
KNb3S5
1.0
5.712 0.000 0.000
-2.856 4.947 0.000
0.000 0.000 7.374
K Nb S
1 3 5
Direct
0.000 0.000 0.000 K
0.000 0.500 0.500 Nb
0.500 0.000 0.500 Nb
0.500 0.500 0.500 Nb
0.000 0.000 0.500 S
0.333 0.667 0.243 S
0.333 0.667 0.757 S
0.667 0.333 0.243 S
0.667 0.333 0.757 S
```

Summary:
- Volume: 208 Å³/f.u.
- ρ: 3.8 g/cm³
- SG: P6/mmm, No. 191
- Uncorrected energy: -59.632 eV for the cell shown

=====

> What is the ρ in the first record?

3.2 g/cm³

=====

> Which value of ρ does entry 1 give?

3.2 g/cm³

=====

> The lowest ρ belongs to which entry?

K4Nb2S11
└──

The reader should transcribe only the last part of the listing earlier on, starting with the line that has "0.750".

0.789 0.211 0.750 S
0.848 0.782 0.966 S
```

Summary:
- Volume: 223 Å³/f.u.
- ρ: 3.2 g/cm³
- SG: C2/c, No. 15
- Uncorrected energy: -105.170 eV for the cell shown

=====

# 2
A geometry-optimized K4Nb2S11 structure. Source: OQMD via LeMat-Bulk, functional PBE.

Cell and atoms, written as POSCAR:
```
K4Nb2S11
1.0
13.314 0.000 0.000
0.000 7.520 0.000
0.000 0.000 18.083
K Nb S
16 8 44
Direct
0.042 0.209 0.000 K
0.088 0.181 0.702 K
0.218 0.804 0.852 K
0.228 0.656 0.104 K
0.272 0.656 0.604 K
0.282 0.804 0.352 K
0.412 0.181 0.202 K
0.458 0.209 0.500 K
0.542 0.791 0.000 K
0.588 0.819 0.702 K
0.718 0.196 0.852 K
0.728 0.344 0.104 K
0.772 0.344 0.604 K
0.782 0.196 0.352 K
0.912 0.819 0.202 K
0.958 0.791 0.500 K
0.059 0.261 0.258 Nb
0.118 0.206 0.446 Nb
0.382 0.206 0.946 Nb
0.441 0.261 0.758 Nb
0.559 0.739 0.258 Nb
0.618 0.794 0.446 Nb
0.882 0.794 0.946 Nb
0.941 0.739 0.758 Nb
0.016 0.470 0.360 S
0.019 0.027 0.353 S
0.050 0.756 0.999 S
0.057 0.405 0.550 S
0.087 0.748 0.695 S
0.096 0.581 0.273 S
0.160 0.017 0.205 S
0.179 0.258 0.151 S
0.185 0.978 0.510 S
0.240 0.235 0.341 S
0.240 0.414 0.928 S
0.260 0.235 0.841 S
0.260 0.414 0.428 S
0.315 0.978 0.010 S
0.321 0.258 0.651 S
0.340 0.017 0.705 S
0.404 0.581 0.773 S
0.413 0.748 0.195 S
0.443 0.405 0.050 S
0.450 0.756 0.499 S
0.481 0.027 0.853 S
0.484 0.470 0.860 S
0.516 0.530 0.360 S
0.519 0.973 0.353 S
0.550 0.244 0.999 S
0.557 0.595 0.550 S
0.587 0.252 0.695 S
0.596 0.419 0.273 S
0.660 0.983 0.205 S
0.679 0.742 0.151 S
0.685 0.022 0.510 S
0.740 0.586 0.928 S
0.740 0.765 0.341 S
0.760 0.586 0.428 S
0.760 0.765 0.841 S
0.815 0.022 0.010 S
0.821 0.742 0.651 S
0.840 0.983 0.705 S
0.904 0.419 0.773 S
0.913 0.252 0.195 S
0.943 0.595 0.050 S
0.950 0.244 0.499 S
0.981 0.973 0.853 S
0.984 0.530 0.860 S
```

Summary:
- Volume: 453 Å³/f.u.
- ρ: 2.5 g/cm³
- SG: Pca2_1, No. 29
- Uncorrected energy: -341.161 eV for the cell shown

=====

# 3
A geometry-optimized KNb3S5 structure. Source: OQMD via LeMat-Bulk, functional PBE.

Cell and atoms, written as POSCAR:
```
KNb3S5
1.0
5.712 0.000 0.000
-2.856 4.947 0.000
0.000 0.000 7.374
K Nb S
1 3 5
Direct
0.000 0.000 0.000 K
0.000 0.500 0.500 Nb
0.500 0.000 0.500 Nb
0.500 0.500 0.500 Nb
0.000 0.000 0.500 S
0.333 0.667 0.243 S
0.333 0.667 0.757 S
0.667 0.333 0.243 S
0.667 0.333 0.757 S
```

Summary:
- Volume: 208 Å³/f.u.
- ρ: 3.8 g/cm³
- SG: P6/mmm, No. 191
- Uncorrected energy: -59.632 eV for the cell shown

=====

> What is the ρ in the first record?

3.2 g/cm³

=====

> Which value of ρ does entry 1 give?

3.2 g/cm³

=====

> The lowest ρ belongs to which entry?

K4Nb2S11